ORCA calculation (wB97M-V/def2-TZVPD) on a molecular structure, C18H17BrCoI2N3O2SSe3Te.

Summary:
- Frontier orbital gap (alpha / beta): 6.728 / 5.499 eV
- E: -365549.294 eV
- Net charge: -1
- HOMO (alpha / beta): -5.056 / -5.400 eV
- Largest force on an atom: 1.29 eV/Å
- 2S+1: 4
- Lowest unoccupied orbital energy (alpha / beta): 1.672 / 0.098 eV

Each line ends with the Löwdin charge.
Geometry (Å):
I (4.3924, -4.2745, 0.5658)  -0.2611
I (2.0300, -2.7443, -0.8696)  0.2304
Te (2.0317, 1.8545, -5.6502)  0.2557
Br (0.1620, 0.7283, 2.4545)  0.8937
Se (-0.1534, 1.5281, -1.7062)  0.1874
Se (2.2710, -0.1072, -4.2446)  -0.1618
Se (1.9651, 0.7507, -2.0309)  -0.0115
Co (0.4136, -0.7460, -1.0640)  -0.3583
S (-2.5652, -1.8403, 0.3621)  0.5659
O (-3.7905, -2.1507, -0.3522)  -0.3140
O (-2.2557, -2.6677, 1.5026)  -0.3128
N (-1.3485, -1.6949, -0.6467)  -0.1908
N (-0.5928, -1.8629, -2.7755)  0.0375
N (2.4650, 0.2579, 1.1009)  0.0059
C (2.7004, 1.9632, 2.7539)  -0.1030
C (6.0571, 1.3944, 1.0457)  -0.0460
C (-2.8999, 0.0343, 2.3212)  -0.1299
C (-2.9652, 0.8233, 0.0433)  -0.1092
C (-1.9894, -4.1894, -3.3212)  -0.0717
C (-2.7892, -0.2036, 0.9601)  -0.3239
C (-1.1936, -3.6041, -4.3057)  -0.0840
C (-3.1627, 1.3281, 2.7615)  -0.0840
C (-0.5046, -2.4628, -3.9690)  -0.1621
C (-3.3137, 2.3771, 1.8625)  -0.2801
C (3.7607, 0.3900, 0.8167)  -0.1455
C (1.9717, 1.0133, 2.0527)  -0.7508
C (-2.0905, -3.6090, -2.0818)  -0.0160
C (4.6038, 1.2974, 1.4413)  -0.2501
C (4.0381, 2.1002, 2.4247)  -0.0334
C (-3.5986, 3.7780, 2.3440)  -0.0542
C (-3.2137, 2.1047, 0.4991)  -0.0482
C (-1.3923, -2.4080, -1.8495)  -0.4219
H (6.1614, 1.7214, 0.0094)  0.0807
H (4.6491, 2.8320, 2.9437)  0.1118
H (0.1571, -1.9914, -4.6840)  0.0516
H (-2.9043, 0.6044, -1.0146)  0.0958
H (-3.3219, 2.9128, -0.2168)  0.1146
H (-3.2365, 1.5250, 3.8260)  0.1106
H (-3.0761, 4.5170, 1.7348)  0.0757
H (-2.5151, -5.1149, -3.5246)  0.1036
H (2.2351, 2.5610, 3.5241)  0.0961
H (-2.6699, -4.0697, -1.2962)  0.1055
H (-4.6667, 4.0031, 2.2875)  0.0790
H (-1.0926, -4.0346, -5.2921)  0.0930
H (6.5904, 2.1059, 1.6770)  0.0707
H (-3.2875, 3.9118, 3.3806)  0.0716
H (6.5517, 0.4254, 1.1323)  0.0835
H (4.1363, -0.2846, 0.0512)  0.0940
H (-2.7537, -0.7828, 3.0162)  0.1103

Write out the part of the calculation results earlier on that starts with the line with "-0.1030" and stops after the one with "-0.2168)".

C (2.7004, 1.9632, 2.7539)  -0.1030
C (6.0571, 1.3944, 1.0457)  -0.0460
C (-2.8999, 0.0343, 2.3212)  -0.1299
C (-2.9652, 0.8233, 0.0433)  -0.1092
C (-1.9894, -4.1894, -3.3212)  -0.0717
C (-2.7892, -0.2036, 0.9601)  -0.3239
C (-1.1936, -3.6041, -4.3057)  -0.0840
C (-3.1627, 1.3281, 2.7615)  -0.0840
C (-0.5046, -2.4628, -3.9690)  -0.1621
C (-3.3137, 2.3771, 1.8625)  -0.2801
C (3.7607, 0.3900, 0.8167)  -0.1455
C (1.9717, 1.0133, 2.0527)  -0.7508
C (-2.0905, -3.6090, -2.0818)  -0.0160
C (4.6038, 1.2974, 1.4413)  -0.2501
C (4.0381, 2.1002, 2.4247)  -0.0334
C (-3.5986, 3.7780, 2.3440)  -0.0542
C (-3.2137, 2.1047, 0.4991)  -0.0482
C (-1.3923, -2.4080, -1.8495)  -0.4219
H (6.1614, 1.7214, 0.0094)  0.0807
H (4.6491, 2.8320, 2.9437)  0.1118
H (0.1571, -1.9914, -4.6840)  0.0516
H (-2.9043, 0.6044, -1.0146)  0.0958
H (-3.3219, 2.9128, -0.2168)  0.1146